**Assignment**
What is needed: work out how many lines further below have the word "sorted" in them; a number is enough.
**Excerpt**
<<<
1.
This entry pairs a crystal structure of Cs4DyBr6 with its simulated PXRD pattern. Radiation: Cu Kα X-rays. Structure: a crystal structure in Alexandria, relaxed with GGA-PBE.
Neutral-atom scattering factors, no anomalous dispersion.

Largest 12 diffraction maxima, low angle first, 10 to 80 degrees two-theta:
- d 7.359, intensity 78
- d 7.189, intensity 20
- d 3.679, intensity 18
- d 3.460, intensity 100
- d 3.356, intensity 20
- d 3.215, intensity 55
- d 2.981, intensity 22
- d 2.666, intensity 32
- d 2.466, intensity 26
- d 2.052, intensity 29
- d 1.810, intensity 20
- d 1.656, intensity 22

Structure:
```
data_Cs4DyBr6
_chemical_formula_sum 'Cs8 Dy2 Br12'
_space_group_name_H-M_alt 'P 1'
_space_group_IT_number 1
_cell_length_a 10.167
_cell_length_b 10.167
_cell_length_c 10.665
_cell_angle_alpha 90.00
_cell_angle_beta 90.00
_cell_angle_gamma 90.00
loop_
_space_group_symop_operation_xyz
'x,y,z'
loop_
_atom_site_label
_atom_site_type_symbol
_atom_site_fract_x
_atom_site_fract_y
_atom_site_fract_z
Cs1 Cs 0.182 0.318 0.250
Cs2 Cs 0.182 0.318 0.750
Cs3 Cs 0.318 0.818 0.250
Cs4 Cs 0.318 0.818 0.750
Cs5 Cs 0.682 0.182 0.250
Cs6 Cs 0.682 0.182 0.750
Cs7 Cs 0.818 0.682 0.250
Cs8 Cs 0.818 0.682 0.750
Dy1 Dy 0.000 0.000 0.000
Dy2 Dy 0.500 0.500 0.500
Br1 Br 0.000 0.000 0.268
Br2 Br 0.000 0.000 0.732
Br3 Br 0.075 0.727 0.000
Br4 Br 0.227 0.575 0.500
Br5 Br 0.273 0.075 0.000
Br6 Br 0.425 0.227 0.500
Br7 Br 0.500 0.500 0.232
Br8 Br 0.500 0.500 0.768
Br9 Br 0.575 0.773 0.500
Br10 Br 0.727 0.925 0.000
Br11 Br 0.773 0.425 0.500
Br12 Br 0.925 0.273 0.000
```

---

2.
This entry pairs a crystal structure of Tb2SmDy6Y2 with its simulated PXRD pattern. Radiation: Cu Kα X-rays. Structure: a crystal structure in Alexandria, relaxed with GGA-PBE.
Neutral-atom scattering factors, no anomalous dispersion.

Largest 12 diffraction maxima, low angle first, 10 to 80 degrees two-theta:
- d 3.126, intensity 8
- d 3.038, intensity 8
- d 2.898, intensity 41
- d 2.831, intensity 37
- d 2.782, intensity 100
- d 2.639, intensity 15
- d 2.023, intensity 10
- d 1.930, intensity 12
- d 1.728, intensity 10
- d 1.625, intensity 21
- d 1.490, intensity 13
- d 1.475, intensity 12

Structure:
```
data_Tb2SmDy6Y2
_chemical_formula_sum 'Tb2 Sm1 Dy6 Y2'
_space_group_name_H-M_alt 'P 1'
_space_group_IT_number 1
_cell_length_a 6.650
_cell_length_b 6.650
_cell_length_c 10.557
_cell_angle_alpha 90.03
_cell_angle_beta 90.03
_cell_angle_gamma 129.61
loop_
_space_group_symop_operation_xyz
'x,y,z'
loop_
_atom_site_label
_atom_site_type_symbol
_atom_site_fract_x
_atom_site_fract_y
_atom_site_fract_z
Tb1 Tb 0.204 0.796 0.000
Tb2 Tb 0.796 0.204 0.000
Sm1 Sm 0.500 0.500 0.000
Dy1 Dy 0.001 0.001 0.790
Dy2 Dy 0.347 0.651 0.294
Dy3 Dy 0.349 0.653 0.706
Dy4 Dy 0.651 0.347 0.294
Dy5 Dy 0.653 0.349 0.706
Dy6 Dy 0.999 0.999 0.210
Y1 Y 0.136 0.864 0.500
Y2 Y 0.864 0.136 0.500
```

---

> Which formula does entry 2 have?

Tb2SmDy6Y2

----------

# H5SeI4
Theoretical X-ray diffraction stick pattern, λ = 1.5418 Å (Cu Kα). Input: a crystal structure in Alexandria, relaxed with PBE.
Intensities are scaled so that the largest is 100.

Structure:
```
data_H5SeI4
_chemical_formula_sum 'H10 Se2 I8'
_cell_length_a 8.463
_cell_length_b 8.463
_cell_length_c 8.204
_cell_angle_alpha 90.00
_cell_angle_beta 90.00
_cell_angle_gamma 90.00
_space_group_name_H-M_alt 'I 4'
_space_group_IT_number 79
_space_group_name_Hall 'I 4'
loop_
_atom_site_label
_atom_site_type_symbol
_atom_site_fract_x
_atom_site_fract_y
_atom_site_fract_z
_atom_site_occupancy
H1 H 0.000 0.000 0.000 1
H2 H 0.114 0.785 0.179 1
Se1 Se 0.000 0.000 0.181 1
I1 I 0.103 0.290 0.670 1
```

Peak list (10 most intense, 2θ = 10–90°, sorted by position)
h k l	Position (°2θ)	intensity
0 0 2	21.67	40
2 1 1	25.93	100
1 3 0	33.48	25
1 3 2	40.24	30
2 1 3	40.71	29
4 2 0	48.08	9
4 2 2	53.31	13
5 0 1	55.43	23
1 3 4	56.53	11
5 0 3	64.78	14

***

# DyNi4
>>>
**Completed**
1